Talking New York --- New Yorkで見つけた英語



UES(Upper East Side アッパー・イースト・サイド)に飾られています。

Chandeliers made of plastic water bottles decorate the UES in this new art project

See them on the Upper East Side through the end of the year.

Written by Rossilynne Skena Culgan
July 11 2023

Photograph: By Zach Pontz

The entry is interrupted by crystal structures:
'''
## InFeNi (PBE)

Data for an optimized crystal structure of InFeNi.

The structure in CIF format:
```
data_InFeNi
_space_group_name_H-M_alt 'P 1'
_space_group_IT_number 1
_cell_length_a 6.279
_cell_length_b 6.279
_cell_length_c 4.146
_cell_angle_alpha 90.00
_cell_angle_beta 90.00
_cell_angle_gamma 120.00
loop_
_space_group_symop_operation_xyz
'x,y,z'
loop_
_atom_site_label
_atom_site_type_symbol
_atom_site_fract_x
_atom_site_fract_y
_atom_site_fract_z
Fe1 Fe 0.222 0.000 0.000
Fe2 Fe 0.000 0.222 0.000
Fe3 Fe 0.778 0.778 0.000
In1 In 0.667 0.333 0.000
In2 In 0.333 0.667 0.000
In3 In 0.000 0.000 0.500
Ni1 Ni 0.566 0.000 0.500
Ni2 Ni 0.434 0.434 0.500
Ni3 Ni 0.000 0.566 0.500
```

Summary:
**ρ**: 8.07 g cm⁻³
**Symmetry**: No. 189

## NbAlZn2 (PBE)

Data for an optimized crystal structure of NbAlZn2.

The structure in CIF format:
```
data_NbAlZn2
_space_group_name_H-M_alt 'P 1'
_space_group_IT_number 1
_cell_length_a 4.468
_cell_length_b 4.468
_cell_length_c 4.468
_cell_angle_alpha 60.00
_cell_angle_beta 60.00
_cell_angle_gamma 60.00
loop_
_space_group_symop_operation_xyz
'x,y,z'
loop_
_atom_site_label
_atom_site_type_symbol
_atom_site_fract_x
_atom_site_fract_y
_atom_site_fract_z
Al1 Al 0.500 0.500 0.500
Nb1 Nb 0.250 0.250 0.250
Zn1 Zn 0.000 0.000 0.000
Zn2 Zn 0.750 0.750 0.750
```

Summary:
**ρ**: 6.60 g cm⁻³
**Symmetry**: No. 216

## NaHfCu3S4 (PBE)

Data for an optimized crystal structure of NaHfCu3S4.

The structure in CIF format:
```
data_NaHfCu3S4
_space_group_name_H-M_alt 'P 1'
_space_group_IT_number 1
_cell_length_a 5.600
_cell_length_b 7.227
_cell_length_c 9.334
_cell_angle_alpha 90.00
_cell_angle_beta 106.66
_cell_angle_gamma 90.00
loop_
_space_group_symop_operation_xyz
'x,y,z'
loop_
_atom_site_label
_atom_site_type_symbol
_atom_site_fract_x
_atom_site_fract_y
_atom_site_fract_z
Cu1 Cu 0.285 0.556 0.021
Cu2 Cu 0.285 0.944 0.021
Cu3 Cu 0.439 0.750 0.265
Cu4 Cu 0.561 0.250 0.735
Cu5 Cu 0.715 0.056 0.979
Cu6 Cu 0.715 0.444 0.979
Hf1 Hf 0.896 0.750 0.200
Hf2 Hf 0.104 0.250 0.800
Na1 Na 0.259 0.250 0.383
Na2 Na 0.741 0.750 0.617
S1 S 0.061 0.250 0.054
S2 S 0.640 0.012 0.219
S3 S 0.640 0.488 0.219
S4 S 0.225 0.750 0.430
S5 S 0.775 0.250 0.570
S6 S 0.360 0.512 0.781
S7 S 0.360 0.988 0.781
S8 S 0.939 0.750 0.946
```

Summary:
**ρ**: 4.78 g cm⁻³
**Symmetry**: No. 11

## NaInPtPb (PBE)

Data for an optimized crystal structure of NaInPtPb.

The structure in CIF format:
```
data_NaInPtPb
_space_group_name_H-M_alt 'P 1'
_space_group_IT_number 1
_cell_length_a 4.951
_cell_length_b 4.951
_cell_length_c 4.951
_cell_angle_alpha 60.00
_cell_angle_beta 60.00
_cell_angle_gamma 60.00
loop_
_space_group_symop_operation_xyz
'x,y,z'
loop_
_atom_site_label
_atom_site_type_symbol
_atom_site_fract_x
_atom_site_fract_y
_atom_site_fract_z
In1 In 0.500 0.500 0.500
Na1 Na 0.750 0.750 0.750
Pb1 Pb 0.000 0.000 0.000
Pt1 Pt 0.250 0.250 0.250
```

Summary:
**ρ**: 10.45 g cm⁻³
**Symmetry**: No. 216

## Nb5Ge4 (PBE)

Data for an optimized crystal structure of Nb5Ge4.
'''

On the Upper East Side, dazzling chandeliers are a common decoration in fancy apartments. But these new chandelier sculptures in the neighborhood aren't like any other.

Artist Willie Cole recently debuted four monumental chandeliers made of thousands of plastic water bottles as a way to draw attention to single-use plastics. The sculptures will be on view through the end of the year on the median of Park Avenue between 69th and 70th Streets.


The sculptor transformed 9,000 disposed water bottles to create the four chandeliers, each with their own distinct look and title—”the Liberty Lantern,” “Soul Catcher,” “Dirt Devil” and “3000 Buddha.”

彼は、9,000本の廃棄されたペットボトルを使って、4つのシャンデリアを制作しました。"リバティ・ランタン"、"ソウル・キャッチャー"、"ダート・デビル"、そして "3000ブッダ"です。

Photograph: Courtesy of Willie Cole Arts

"The struggle between beauty and ugliness is embedded in my chandeliers: trash as treasure as teacher," he said in a press release.


In addition to addressing the global issue of single-use plastic bottles, Cole also wanted to underscore the need for fresh drinking water while acknowledging the damage caused to the environment by its disposal.


"It's not always easy to open up perception and see familiar objects in a fresh way," he said.


A close-up of the sculpture shows an image of the Statue of Liberty in each bottle.
Photograph: By Zach Pontz


As for the chandelier concept, his work was commissioned by the Fund for Park Avenue and the New York City Parks Department, so he wanted to make something that would fit with the elegance of a Park Avenue address. Cole created the chandeliers during his 2023 residency at Express Newark via Rutgers University.

Unrelated to this piece: materials data =
********
w | This record from Alexandria via LeMat-Bulk describes crystalline BRhC3 at its relaxed geometry. The functional is GGA-PBE.

abc: 3.9568 3.9568 3.9568
angles: 90.00 90.00 90.00
Last column: nearest neighbours and their distance in Å.
Space group Pm-3m (No. 221)
One atom of each set of equivalent atoms:
B: 0.0000 0.0000 0.0000 x1  12 C 2.80
Rh: 0.5000 0.5000 0.5000 x1  6 C 1.98
C: 0.0000 0.5000 0.5000 x3  2 Rh 1.98



x | This record from Alexandria via LeMat-Bulk describes crystalline BRhC3 at its relaxed geometry. The functional is GGA-PBE.

abc: 3.4775 3.4775 3.4775
angles: 90.00 90.00 90.00
Last column: nearest neighbours and their distance in Å.
Space group Pm-3m (No. 221)
One atom of each set of equivalent atoms:
B: 0.0000 0.0000 0.0000 x1  6 C 1.74
Rh: 0.5000 0.5000 0.5000 x1  12 C 2.46
C: 0.0000 0.0000 0.5000 x3  2 B 1.74



Which of them is least stable? Easy: w.



w | This record from Alexandria via LeMat-Bulk describes crystalline BRh2C at its relaxed geometry. The functional is GGA-PBE.

abc: 5.4408 5.4408 5.4408
angles: 90.00 90.00 90.00
Last column: nearest neighbours and their distance in Å.
Space group Fm-3m (No. 225)
One atom of each set of equivalent atoms:
B: 0.0000 0.0000 0.0000 x4  8 Rh 2.36
Rh: 0.2500 0.2500 0.2500 x8  4 B 2.36, 4 C 2.36
C: 0.0000 0.0000 0.5000 x4  8 Rh 2.36



x | This record from Alexandria via LeMat-Bulk describes crystalline BRh2C at its relaxed geometry. The functional is GGA-PBE.

abc: 4.6710 4.6710 9.1850
angles: 90.00 90.00 90.00
Last column: nearest neighbours and their distance in Å.
Space group I-42d (No. 122)
One atom of each set of equivalent atoms:
B: 0.0000 0.0000 0.0000 x4  4 Rh 2.05
Rh: 0.2376 0.2500 0.6250 x8  2 C 1.98, 2 B 2.05
C: 0.0000 0.0000 0.5000 x4  4 Rh 1.98



Which of them is least stable? Easy: w.



w | This record from Alexandria via LeMat-Bulk describes crystalline SiBRhCS at its relaxed geometry. The functional is GGA-PBE.

abc: 5.3679 3.0989 7.4372
angles: 90.00 107.39 90.00
Last column: nearest neighbours and their distance in Å.
Space group Cm (No. 8)
One atom of each set of equivalent atoms:
Si: 0.0000 0.0000 0.0000 x2  3 C 1.92-1.93
B: 0.0313 0.5000 0.6799 x2  1 C 1.57
Rh: 0.2614 0.5000 0.2305 x2  1 S 2.33, 1 C 2.33, 3 Si 2.42-2.43
C: 0.1249 0.5000 0.9017 x2  1 B 1.57
S: 0.3161 0.5000 0.5530 x2  3 B 1.99-2.02



x | This record from Alexandria via LeMat-Bulk describes crystalline SiBRhCS at its relaxed geometry. The functional is GGA-PBE.

abc: 2.9861 2.9861 24.0137
angles: 90.00 90.00 120.00
Last column: nearest neighbours and their distance in Å.
Space group R3m (No. 160, hexagonal axes)
One atom of each set of equivalent atoms:
Si: 0.0000 0.0000 0.0000 x3  3 C 1.89
B: 0.0000 0.0000 0.5695 x3  1 C 1.56
Rh: 0.0000 0.0000 0.0959 x3  1 Si 2.30, 1 S 2.48
C: 0.0000 0.0000 0.6345 x3  1 B 1.56
S: 0.0000 0.0000 0.1990 x3  3 B 1.94



y | This record from Alexandria via LeMat-Bulk describes crystalline SiBRhCS at its relaxed geometry. The functional is GGA-PBE.
********


As an artist who has exhibited extensively in galleries and museums since the 1990s, Cole is known for his assemblages of found objects, such as irons, bicycles, water bottles and shoes. His works offer a compelling commentary on gender, consumerism and African American identity. Cole’s work is represented in numerous museum collections, including The Metropolitan Museum of Art, The Museum of Modern Art, the Dallas Museum of Art and the Philadelphia Museum of Art.


Schwinn tji-wara (2002) 

If you're into "trash art," also don't miss "Earth Poetica," a globe made of plastic waste on view in Lower Manhattan, and "DEATH TO THE LIVING, Long Live Trash" at the Brooklyn Museum.

「トラッシュアート」に興味をお持ちの方は、ロウアー・マンハッタンで展示されているプラスチックゴミでできた地球儀「Earth Poetica」や、ブルックリン美術館の「DEATH TO THE LIVING, Long Live Trash」もお見逃しなく。

では、明日、"Earth Poetica"について読むことにします。

English ラボ

